Carp were first bred for colour mutations in China more than a thousand years ago.
Yet by NATURE China’s Garden Art is coy [ modest and shy ]
- Electric and hybrid vehicles are often seen as environmentally friendly, but there are many issues with them beyond just the vehicles themselves.
- The production of the batteries used in these vehicles is complex, environmentally damaging, and energy intensive. It involves mining scarce materials, shipping components around the world, and producing radioactive waste.
- When the batteries reach the end of their lifespan after only a few years, there are few options for safe recycling and most must be disposed of as hazardous waste.
- Considering the full lifecycle from production to disposal, electric vehicles may not be as green as advertised and individual transportation may not be the most sustainable option overall.
This presentation is done by Joachim Limos as one of his projects on ITALIAN REGIONS in his Italian 11 class (AY 2013-2014) at the University of the Philippines under Prof. Emanuela Adesini.
if you are searching for marketing on youtube! here you will get some tools through which you can do marketing of your companies products and services on youtube
El documento resume brevemente la historia de los computadores, desde los primeros dispositivos mecánicos de conteo como el ábaco y la máquina de Pascal, hasta el desarrollo de los primeros computadores electrónicos como el ENIAC y la invención del chip a mediados del siglo XX, lo que permitió reducir drásticamente el tama?o de los ordenadores. Finalmente, explica que hoy en día existen cientos de modelos fabricados por docenas de empresas.
Sticky Story Marketing: Create Your Most Shareable Business StoryPhilippa Davies
How to tell your most sticky business story - what are the key elements you must have to give your business story impact, memorability and get it shared?
This document discusses two examples of using Google Web Toolkit (GWT) to build user interfaces for large amounts of data: 1) a table of employees that allows searching, sorting, and paging of employee data; and 2) a suggest box for autocompleting employee names from a remote data source. It provides details on the client-side and server-side components needed to implement filtering, sorting, paging and querying of large data sets to display relevant results efficiently.
Whether you knew it or not, Mother's Day is right around the corner. Here's Carole Argo's guide to pampering your mom, wife, partner, or any other mother in your life this Sunday.
O documento descreve a história, cultura e símbolos nacionais do Uruguai. O país teve origem na disputa entre espanhóis e portugueses e conquistou independência em 1825, adotando a bandeira branca e azul com sol amarelo como símbolo nacional, junto com a bandeira de Artigas e dos Trinta e Três Orientais. O Uruguai também possui hino, bras?o e um sistema educacional público e gratuito.
This presentation is done by Sheena Sablan as one of her projects on ITALIAN REGIONS in her Italian 10 class (AY 2013-2014) at the University of the Philippines under Prof. Emanuela Adesini.
O documento fornece informa??es sobre a culinária, música, literatura, feriados, economia e política do Uruguai. A culinária é marcada pelo chivito e buseca. A música compartilha origens com a Argentina e a dan?a predominante é o tango. A literatura teve início com Bartolomé Hidalgo e os principais nomes do período rom?ntico foram Adolfo Berro e Juan Zorrilla de San Martín.
El documento describe diferentes tipos de electrodos utilizados en soldadura. Explica que los electrodos están compuestos de un núcleo metálico y un revestimiento químico. Luego describe varios electrodos populares como el INDURA 6010, INDURA 6011 e INDURA 7018-RH para soldar acero al carbono, e introduce los tres tipos básicos de aceros inoxidables (martensíticos, ferríticos y austeníticos) y consideraciones para soldar cada tipo.
For School management teams:
Are we ready for the new year?
This presentation will assist school managers to evaluate if they are ready for the new academic year.
Uruguay is a small country located on the eastern coast of South America between Argentina and Brazil. It has a temperate climate with rolling hills and plains and many rivers and beaches. Uruguay gained independence from Spain in the early 19th century and is now a democratic republic with a literacy rate among the highest in the world. Soccer is the most popular sport and tango the dominant musical tradition, along with candombe drumming and murgas street performances around Carnival time. Cuisine blends local beef with Italian influences like milanesa cutlets and chivitos sandwiches.
Montevideo es la capital y el principal puerto de Uruguay, un país ubicado en el sur de América del Sur entre Argentina y Brasil. La mayoría de la población de Uruguay son católicos romanos, y el presidente electo por voto popular gobierna por un mandato de cinco a?os. La música tradicional de Uruguay incluye el tango, murga y candombe, un tipo de música afro-uruguaya que se presenta durante el Carnaval.
Foreigners, understanding of Chinese gardens.John Jeffery
#外国人/游客 - 中国园林的理解和
#保存 - 平衡,人与自然之间。
# Foreigners / Tourists – understanding of Chinese gardens and# Preservation – the balance, between man and nature.
Chinese ancient culture should not be commercialized or superficially displayed. While some may feel the author's comments are drastic, an investigation would reveal the comments are made with pure motivations. People who truly care about others will tell them what they need to hear rather than what they want to hear. Following the truth is neither lucrative nor popular, but it is forthright and necessary if others fail to listen or take respectful action.
For over 7 years, the author has blamed themselves for being unable to convince a local Western authority to not use a Chinese garden's Scholar's Studio as an office for managers. The author suggests that Westerners may need to consider saving or giving face to others to enhance relationships.
This document outlines goals for advancing knowledge of Chinese garden art culture including conducting public outreach, developing institutional networks, establishing partnerships, fostering intercultural media relationships, fundraising, implementing evaluation frameworks, innovatively operating initiatives, providing online statistical updates and research, and gaining experience volunteering or working in Suzhou gardens.
China's latitude refers to its position north of the equator, not its scope of freedom. The author felt obliged to tell others about what was already happening in Vancouver as China began globalizing its garden art around the world. While China may have already considered this, only time will tell how things unfold further.
El documento resume brevemente la historia de los computadores, desde los primeros dispositivos mecánicos de conteo como el ábaco y la máquina de Pascal, hasta el desarrollo de los primeros computadores electrónicos como el ENIAC y la invención del chip a mediados del siglo XX, lo que permitió reducir drásticamente el tama?o de los ordenadores. Finalmente, explica que hoy en día existen cientos de modelos fabricados por docenas de empresas.
Sticky Story Marketing: Create Your Most Shareable Business StoryPhilippa Davies
How to tell your most sticky business story - what are the key elements you must have to give your business story impact, memorability and get it shared?
! NaYTl2 (PBE, relaxed); values from VASP
&SYSTEM
  ibrav = 0, nat = 4, ntyp = 3
/
ATOMIC_SPECIES
Na 22.99 Na.upf
Y 88.91 Y.upf
Tl 204.38 Tl.upf
CELL_PARAMETERS angstrom
0.000 3.808 3.808
3.808 0.000 3.808
3.808 3.808 0.000
ATOMIC_POSITIONS angstrom
Na 0.000 0.000 0.000
Y 3.808 3.808 3.808
Tl 1.904 1.904 1.904
Tl 5.712 5.712 5.712
! E_form: -0.2413 eV/atom
! calculated density: 7.83 g/cm³
This document discusses two examples of using Google Web Toolkit (GWT) to build user interfaces for large amounts of data: 1) a table of employees that allows searching, sorting, and paging of employee data; and 2) a suggest box for autocompleting employee names from a remote data source. It provides details on the client-side and server-side components needed to implement filtering, sorting, paging and querying of large data sets to display relevant results efficiently.
Whether you knew it or not, Mother's Day is right around the corner. Here's Carole Argo's guide to pampering your mom, wife, partner, or any other mother in your life this Sunday.
O documento descreve a história, cultura e símbolos nacionais do Uruguai. O país teve origem na disputa entre espanhóis e portugueses e conquistou independência em 1825, adotando a bandeira branca e azul com sol amarelo como símbolo nacional, junto com a bandeira de Artigas e dos Trinta e Três Orientais. O Uruguai também possui hino, bras?o e um sistema educacional público e gratuito.
This presentation is done by Sheena Sablan as one of her projects on ITALIAN REGIONS in her Italian 10 class (AY 2013-2014) at the University of the Philippines under Prof. Emanuela Adesini.
O documento fornece informa??es sobre a culinária, música, literatura, feriados, economia e política do Uruguai. A culinária é marcada pelo chivito e buseca. A música compartilha origens com a Argentina e a dan?a predominante é o tango. A literatura teve início com Bartolomé Hidalgo e os principais nomes do período rom?ntico foram Adolfo Berro e Juan Zorrilla de San Martín.
El documento describe diferentes tipos de electrodos utilizados en soldadura. Explica que los electrodos están compuestos de un núcleo metálico y un revestimiento químico. Luego describe varios electrodos populares como el INDURA 6010, INDURA 6011 e INDURA 7018-RH para soldar acero al carbono, e introduce los tres tipos básicos de aceros inoxidables (martensíticos, ferríticos y austeníticos) y consideraciones para soldar cada tipo.
For School management teams:
Are we ready for the new year?
This presentation will assist school managers to evaluate if they are ready for the new academic year.
Uruguay is a small country located on the eastern coast of South America between Argentina and Brazil. It has a temperate climate with rolling hills and plains and many rivers and beaches. Uruguay gained independence from Spain in the early 19th century and is now a democratic republic with a literacy rate among the highest in the world. Soccer is the most popular sport and tango the dominant musical tradition, along with candombe drumming and murgas street performances around Carnival time. Cuisine blends local beef with Italian influences like milanesa cutlets and chivitos sandwiches.
Montevideo es la capital y el principal puerto de Uruguay, un país ubicado en el sur de América del Sur entre Argentina y Brasil. La mayoría de la población de Uruguay son católicos romanos, y el presidente electo por voto popular gobierna por un mandato de cinco a?os. La música tradicional de Uruguay incluye el tango, murga y candombe, un tipo de música afro-uruguaya que se presenta durante el Carnaval.
Foreigners, understanding of Chinese gardens.John Jeffery
#外国人/游客 - 中国园林的理解和
#保存 - 平衡,人与自然之间。
Data records, kept here for reference:
Entry 1:
! PBE Ba2MgReO6, relaxed; values from VASP
&SYSTEM
  ibrav = 0, nat = 10, ntyp = 4
/
ATOMIC_SPECIES
Ba 137.33 Ba.upf
O 16.00 O.upf
Re 186.21 Re.upf
Mg 24.30 Mg.upf
CELL_PARAMETERS angstrom
0.000 4.092 4.092
4.092 0.000 4.092
4.092 4.092 0.000
ATOMIC_POSITIONS angstrom
Ba 6.137 6.137 6.137
Ba 2.046 2.046 2.046
O 4.092 4.092 6.046
O 4.092 2.137 4.092
O 4.092 4.092 2.137
O 4.092 6.046 4.092
O 2.137 4.092 4.092
O 6.046 4.092 4.092
Re 4.092 4.092 4.092
Mg 0.000 0.000 0.000
! Electronic total energy: -7.185 eV per atom
! Energy of formation from the pure elements: -2.840 eV/atom



Entry 2:
! PBE BaMgSb2O6, relaxed; values from VASP
&SYSTEM
  ibrav = 0, nat = 10, ntyp = 4
/
ATOMIC_SPECIES
Ba 137.33 Ba.upf
Sb 121.76 Sb.upf
Mg 24.30 Mg.upf
O 16.00 O.upf
CELL_PARAMETERS angstrom
5.821 0.001 0.002
-2.910 5.041 0.002
0.002 0.003 5.474
ATOMIC_POSITIONS angstrom
Ba 5.815 0.004 0.002
Sb -0.004 3.366 2.739
Sb 2.909 1.684 2.739
Mg 2.902 1.686 0.002
O 1.960 2.947 1.477
O 2.289 0.227 1.477
O 4.479 1.875 1.478
O 3.528 0.229 4.001
O 3.861 2.949 4.002
O 1.340 1.874 4.002
! Offset from the most stable computed form: 0.0000 eV per atom
! Electronic total energy: -6.015 eV per atom
! Energy of formation from the pure elements: -2.281 eV/atom
# Foreigners / Tourists – understanding of Chinese gardens and# Preservation – the balance, between man and nature.
Chinese ancient culture should not be commercialized or superficially displayed. While some may feel the author's comments are drastic, an investigation would reveal the comments are made with pure motivations. People who truly care about others will tell them what they need to hear rather than what they want to hear. Following the truth is neither lucrative nor popular, but it is forthright and necessary if others fail to listen or take respectful action.
For over 7 years, the author has blamed themselves for being unable to convince a local Western authority to not use a Chinese garden's Scholar's Studio as an office for managers. The author suggests that Westerners may need to consider saving or giving face to others to enhance relationships.
This document outlines goals for advancing knowledge of Chinese garden art culture including conducting public outreach, developing institutional networks, establishing partnerships, fostering intercultural media relationships, fundraising, implementing evaluation frameworks, innovatively operating initiatives, providing online statistical updates and research, and gaining experience volunteering or working in Suzhou gardens.
China's latitude refers to its position north of the equator, not its scope of freedom. The author felt obliged to tell others about what was already happening in Vancouver as China began globalizing its garden art around the world. While China may have already considered this, only time will tell how things unfold further.
How to change fascination into fasCHINAtionJohn Jeffery
The document discusses how to change a fascination with China into a deeper appreciation, or "fasCHINAtion". It suggests that people first try to see China for more than just its economic opportunities. Second, people should consider China as more than just a threat. Third, people could try comparing China's culture to their own. Seeing China's nature through its culture, like in Chinese gardens, may help people accept, appreciate and embrace China beyond simple fascination.
The document discusses branding the Dunedin Chinese Garden in New Zealand as a literati garden of China. It suggests Dunedin needs to show humility and acknowledge that it needs help from Shanghai to make improvements to the garden that will better represent Chinese culture and brand the garden accurately as a literati garden. Specifically, it recommends Dunedin ask Shanghai for assistance in adding realism and activities to the garden, such as a scholar's studio, in order to embody the essence of China's literati garden art tradition and strengthen the brand after seven years of establishing the garden.
the truth, the whole truth and nothing but the truth 真相,全部的真相,而且全部是事实,所以...John Jeffery
This short document discusses concepts from the beginning through generations and being everlasting, with no myths but allowing mystery and translation without requiring interpretation.
This document discusses balancing the preservation of heritage with making spaces appealing to current generations. It notes that sacrificing conscience for ambition comes at a cost. While it is easy to ignore conscience, there are two important aspects to consider: sustaining Chinese garden construction and sustaining the original objectives of Chinese gardens. These objectives provide for both present and future generations through education, enjoyment, and leaving an everlasting heritage. The document advocates learning from nature and sustainability, stating that protecting the past and people requires behavioral changes and sustainable commitments to objectives.
Participants in the game of truth or dare must choose whether to answer embarrassing personal questions or perform difficult or ridiculous roles. While it seems like just a game, it reveals deeper truths about honesty and human nature as people are pushed outside their comfort zones. Ultimately, contentment comes from looking past surface appearances to find the real picture beneath.
5. “ In the morning sow your seed and until
evening do not let your hand rest;
for you are not knowing where this will
have success, either here or there, or
whether both of them will alike be good.”
Ecclesiastes 11:6